Ireland | UK 2014
Starts October 23, 2014
Directed by: John Michael McDonagh
Writing credits: John Michael McDonagh
Cast: Brenda Gleeson, Chris O’Dowd, Kelly Reilly
Length: 100 minutesFather James (Gleeson) is an amiable Catholic priest who is told during confession that he is going to be murdered by the end of the week. This is not the result of anything Father James has personally done, but the confessor was raped as a child by a priest and intends to make a statement about the atrocities of the Catholic Church. As Father James continues with his week, he is faced with seeing his small Irish community in a whole new light.
Calvary is an unflinching examination of the festering problems of Irish society. With the proclamation of his upcoming death in the opening scene, Father James’ eyes are opened to the underlying sickness of his community. Alcohol abuse, casual racism, the banking crisis and the general corruption of the Catholic Church are all examined through the lens of black comedy. And black it is, for as the week goes on, Father James finds his faith in God and his community greatly tested.
He begins to see just how little he is respected in his community despite all of the support he gives. In one particularly harsh scene, he is walking down a road and bumps into a preteen girl. They have a nice chat and then her father drives up fast, yells at her to get into the car and questions Father James with great suspicion before driving away. Despite his good intentions, the general corruption of the church has led to suspicion and indeed aggression against this “good” priest. Considering the power dynamics in Ireland where the Catholic Church has always dominated culturally, actions in recent years has caused irreparable damage to reputations of priests.
With a title like Calvary, which is a biblical reference to the place where Christ was crucified, it is easy to see that Father James is supposed to be a modern-day martyr. He is presented with all of the stereotypical challenges of martyrdom throughout the film. As a witness to the great problems within his society and his religion, he faces trials and tribulations in order to hopefully create something better. And indeed he does, for despite the dark and violent nature of the film, there is a light at the end of the tunnel, just as hopefully there is hope for Ireland and the Catholic Church as a whole. ( )
This year the Berlin Film festival concentrated on the Church. Several films looked not only at religious subjects but the structure behind the philosophy of religious belief. The first film that reflected this was Calvary by Irish director John Michael McDonagh which, according to the gospels, is the site where Jesus was crucified and is located outside the walls of Jerusalem. This foreshadows an Agatha-Christie-like plot where the good Father James (Gleeson) is given a sinister seven days warning that he will be killed during confession. The plot thickens as he inspects his parish to find the person who made this threat. We know from the beginning that the man making this threat had been abused by his priest while growing up and someone needs to pay for that sin.
After finishing the film The Guard, in 2013, McDonagh and Gleeson were sitting in a pub discussing the current reputation of the church; they predicted that there would be many films made to illustrate that point. But Gleeson had a very strong connection to the church when he was young and said that the father had been a mentor and someone who really cared about the people. McDonagh decided at that point to write a clever and witty script following the five steps of grief. The film is chalk-full of dysfunctional characters trying to find their way in life. They see the good father, while, at the same time, are all trying to wait and watch him fall. So step by step the plot is full of surprises with a dark humor.
Irish filmmaker John Michael McDonagh director of The Guard with Brendan Gleeson takes his principle actor (Gleeson) and brings him to Calvary. McDonagh casts Gleeson as the ideal Catholic Priest, Father James in his latest film Calvary about a caring and good-natured man with a regretful past.
On Sunday's confession hour, one of Father James' parishioners confides in the priest about his childhood and how he was sexually abused by the town priest. He can no longer handle the emotional suffering. The man's confession is made ahead of time, which he will regret and pay for at a later date.
He confesses he will kill Father James the following Sunday. By making a statement of intent, the parishioner feels compelled to take the kind and gracious Father James as a clerical representative for the sexual predator because the abusing priest was dead. The parishioner needs freedom from his tormented soul of the inflicted cruelty. He chooses the good Father James to pay for his colleagues’ misbehavior.
Father James calmly tries to reason with the parishioner to forgive the abuser for his wrong-doing and not take his anger out on Father James as a scape goat – an innocent priest who has no past of misconduct with children.
**The piece is interrupted by records of crystals**
'''
For LuNiBC, DFT lattice parameters and positions (PBE) gives the computed XRD peak list in this record (Cu Kα).
No peak broadening, texture or thermal motion is included.

```
data_LuNiBC
_chemical_formula_sum 'Lu2 Ni2 B2 C2'
_symmetry_space_group_name_H-M 'P 1'
_symmetry_Int_Tables_number 1
_cell_length_a 3.4995
_cell_length_b 3.4995
_cell_length_c 7.5411
_cell_angle_alpha 90.00
_cell_angle_beta 90.00
_cell_angle_gamma 90.00
loop_
_symmetry_equiv_pos_as_xyz
'x,y,z'
loop_
_atom_site_label
_atom_site_type_symbol
_atom_site_fract_x
_atom_site_fract_y
_atom_site_fract_z
_atom_site_occupancy
Lu1 Lu 0.2500 0.2500 0.1614 1
Lu2 Lu 0.7500 0.7500 0.8386 1
Ni1 Ni 0.2500 0.7500 0.5000 1
Ni2 Ni 0.7500 0.2500 0.5000 1
B1 B 0.2500 0.2500 0.6513 1
B2 B 0.7500 0.7500 0.3487 1
C1 C 0.2500 0.2500 0.8493 1
C2 C 0.7500 0.7500 0.1507 1
```

Principal peaks in the range 15° ≤ 2θ ≤ 90°, in order of falling intensity:
d [Å]	intensity
3.174	100
2.565	78
2.351	65
2.514	46
2.069	39
1.750	34
1.436	31
1.445	27
'''
**Back to the piece**
Seven days and counting. Father James takes his parishioner seriously. He has seven days to get his house in order. Making amends with his daughter Fiona (Reilly) is top priority. She has never forgiven him for leaving her after his wife (and her mother) died to enter the priesthood.
The week of penance for Father James coincides with another week at the parish caring for the flock he loves. Each day he deals with a new situation involving a different parishioner-- involving jailing the man who burns down his little parish. The week passes quickly. Sunday comes and goes as does the destiny of good Father James.